Request =
Echo all of the lines further below unchanged, please.
File =
<<<
1.
Density functional theory data (PBE) for an optimized crystal structure of Nb6Si7Ni16.

Calculated values
Space group: No. 225
Energy of formation in eV per atom: -0.594

Structure (extended XYZ):
```
29
Lattice="0.000 5.629 5.629 5.629 0.000 5.629 5.629 5.629 0.000" Properties=species:S:1:pos:R:3 pbc="T T T"
Nb 5.629 5.629 2.288
Nb 5.629 2.288 5.629
Nb 8.971 5.629 5.629
Nb 2.288 5.629 5.629
Nb 5.629 8.971 5.629
Nb 5.629 5.629 8.971
Si 2.815 2.815 0.000
Si 2.815 0.000 2.815
Si 5.629 2.815 2.815
Si 0.000 2.815 2.815
Si 2.815 5.629 2.815
Si 2.815 2.815 5.629
Si 5.629 5.629 5.629
Ni 6.942 4.317 4.317
Ni 1.894 1.894 1.894
Ni 3.735 3.735 1.894
Ni 3.735 1.894 3.735
Ni 4.317 4.317 4.317
Ni 6.942 6.942 4.317
Ni 6.942 4.317 6.942
Ni 1.894 3.735 3.735
Ni 9.364 7.524 7.524
Ni 4.317 6.942 4.317
Ni 4.317 4.317 6.942
Ni 6.942 6.942 6.942
Ni 7.524 9.364 7.524
Ni 7.524 7.524 9.364
Ni 9.364 9.364 9.364
Ni 4.317 6.942 6.942
```


2.
Density functional theory data (PBE) for an optimized crystal structure of NbSiNi.

Calculated values
Magnetic moment in μB/f.u.: 0.000
Space group: No. 62
Energy of formation in eV per atom: -0.721

Structure (extended XYZ):
```
12
Lattice="6.241 0.000 0.000 0.000 3.693 0.000 0.000 0.000 7.079" Properties=species:S:1:pos:R:3 pbc="T T T"
Nb 0.118 0.923 1.249
Nb 3.002 2.770 4.788
Nb 3.238 0.923 2.291
Nb 6.122 2.770 5.830
Si 1.369 2.770 2.711
Si 1.751 0.923 6.250
Si 4.489 2.770 0.829
Si 4.871 0.923 4.368
Ni 0.965 0.923 4.017
Ni 2.155 2.770 0.477
Ni 4.085 0.923 6.602
Ni 5.276 2.770 3.062
```


3.
Density functional theory data (PBE) for an optimized crystal structure of NbNiTe2.

Calculated values
Space group: No. 53
Energy of formation in eV per atom: -0.655

Structure (extended XYZ):
```
16
Lattice="8.024 0.000 0.000 0.000 7.481 0.000 0.000 0.000 6.306" Properties=species:S:1:pos:R:3 pbc="T T T"
Nb 1.655 0.000 0.000
Nb 2.357 0.000 3.153
Nb 5.667 0.000 3.153
Nb 6.369 0.000 0.000
Ni 0.000 0.879 2.244
Ni 0.000 6.603 4.062
Ni 4.012 0.879 0.909
Ni 4.012 6.603 5.397
Te 0.000 1.636 4.736
Te 0.000 5.845 1.570
Te 2.006 2.342 1.577
Te 2.006 5.139 4.730
Te 4.012 1.636 4.723
Te 4.012 5.845 1.583
Te 6.018 2.342 1.577
Te 6.018 5.139 4.730
```

~~~~~

VASP calculation (GGA-PBE) on a geometry-optimized K2AgAs structure.

Lattice parameters (Å, degrees): 6.446 6.446 6.134 90.00 90.00 76.41
Fractional positions:
K1 0.029 0.316 0.250
K2 0.316 0.029 0.750
K3 0.684 0.971 0.250
K4 0.971 0.684 0.750
Ag1 0.500 0.500 0.000
Ag2 0.500 0.500 0.500
As1 0.241 0.759 0.250
As2 0.759 0.241 0.750


VASP calculation (GGA-PBE) on a geometry-optimized Tb3Ge3Ir2 structure.

Lattice parameters (Å, degrees): 5.699 5.699 14.332 90.00 90.00 135.46
Fractional positions:
Tb1 0.083 0.917 0.611
Tb2 0.083 0.917 0.889
Tb3 0.360 0.640 0.750
Tb4 0.640 0.360 0.250
Tb5 0.917 0.083 0.111
Tb6 0.917 0.083 0.389
Ge1 0.342 0.658 0.250
Ge2 0.377 0.623 0.535
Ge3 0.377 0.623 0.965
Ge4 0.623 0.377 0.035
Ge5 0.623 0.377 0.465
Ge6 0.658 0.342 0.750
Ir1 0.201 0.799 0.102
Ir2 0.201 0.799 0.398
Ir3 0.799 0.201 0.602
Ir4 0.799 0.201 0.898


VASP calculation (GGA-PBE) on a geometry-optimized Na3MgGaP2SO12 structure.

Lattice parameters (Å, degrees): 8.897 8.809 21.842 91.10 90.00 120.33
Fractional positions:
Na1 0.360 0.358 0.247
Na2 0.997 0.632 0.246
Na3 0.634 0.632 0.746
Na4 0.998 0.358 0.747
Na5 0.026 0.691 0.581
Na6 0.664 0.965 0.579
Na7 0.301 0.965 0.079
Na8 0.665 0.691 0.081
Na9 0.693 0.025 0.914
Na10 0.331 0.298 0.912
Na11 0.968 0.298 0.412
Na12 0.332 0.025 0.414
Na13 0.983 0.986 0.497
Na14 0.004 0.986 0.997
Na15 0.649 0.320 0.831
Na16 0.670 0.320 0.331
Na17 0.316 0.653 0.164
Na18 0.337 0.653 0.664
Mg1 0.994 0.997 0.352
Mg2 0.003 0.997 0.852
Mg3 0.660 0.330 0.685
Mg4 0.670 0.330 0.185
Mg5 0.327 0.664 0.018
Mg6 0.337 0.664 0.518
Ga1 0.992 0.011 0.651
Ga2 0.020 0.011 0.151
Ga3 0.658 0.345 0.984
Ga4 0.686 0.345 0.484
Ga5 0.325 0.678 0.318
Ga6 0.353 0.678 0.818
P1 0.297 0.998 0.252
P2 0.004 0.296 0.253
P3 0.292 0.296 0.753
P4 0.701 0.998 0.752
P5 0.964 0.332 0.585
>>>
Outcome =
1.
Density functional theory data (PBE) for an optimized crystal structure of Nb6Si7Ni16.

Calculated values
Space group: No. 225
Energy of formation in eV per atom: -0.594

Structure (extended XYZ):
```
29
Lattice="0.000 5.629 5.629 5.629 0.000 5.629 5.629 5.629 0.000" Properties=species:S:1:pos:R:3 pbc="T T T"
Nb 5.629 5.629 2.288
Nb 5.629 2.288 5.629
Nb 8.971 5.629 5.629
Nb 2.288 5.629 5.629
Nb 5.629 8.971 5.629
Nb 5.629 5.629 8.971
Si 2.815 2.815 0.000
Si 2.815 0.000 2.815
Si 5.629 2.815 2.815
Si 0.000 2.815 2.815
Si 2.815 5.629 2.815
Si 2.815 2.815 5.629
Si 5.629 5.629 5.629
Ni 6.942 4.317 4.317
Ni 1.894 1.894 1.894
Ni 3.735 3.735 1.894
Ni 3.735 1.894 3.735
Ni 4.317 4.317 4.317
Ni 6.942 6.942 4.317
Ni 6.942 4.317 6.942
Ni 1.894 3.735 3.735
Ni 9.364 7.524 7.524
Ni 4.317 6.942 4.317
Ni 4.317 4.317 6.942
Ni 6.942 6.942 6.942
Ni 7.524 9.364 7.524
Ni 7.524 7.524 9.364
Ni 9.364 9.364 9.364
Ni 4.317 6.942 6.942
```


2.
Density functional theory data (PBE) for an optimized crystal structure of NbSiNi.

Calculated values
Magnetic moment in μB/f.u.: 0.000
Space group: No. 62
Energy of formation in eV per atom: -0.721

Structure (extended XYZ):
```
12
Lattice="6.241 0.000 0.000 0.000 3.693 0.000 0.000 0.000 7.079" Properties=species:S:1:pos:R:3 pbc="T T T"
Nb 0.118 0.923 1.249
Nb 3.002 2.770 4.788
Nb 3.238 0.923 2.291
Nb 6.122 2.770 5.830
Si 1.369 2.770 2.711
Si 1.751 0.923 6.250
Si 4.489 2.770 0.829
Si 4.871 0.923 4.368
Ni 0.965 0.923 4.017
Ni 2.155 2.770 0.477
Ni 4.085 0.923 6.602
Ni 5.276 2.770 3.062
```


3.
Density functional theory data (PBE) for an optimized crystal structure of NbNiTe2.

Calculated values
Space group: No. 53
Energy of formation in eV per atom: -0.655

Structure (extended XYZ):
```
16
Lattice="8.024 0.000 0.000 0.000 7.481 0.000 0.000 0.000 6.306" Properties=species:S:1:pos:R:3 pbc="T T T"
Nb 1.655 0.000 0.000
Nb 2.357 0.000 3.153
Nb 5.667 0.000 3.153
Nb 6.369 0.000 0.000
Ni 0.000 0.879 2.244
Ni 0.000 6.603 4.062
Ni 4.012 0.879 0.909
Ni 4.012 6.603 5.397
Te 0.000 1.636 4.736
Te 0.000 5.845 1.570
Te 2.006 2.342 1.577
Te 2.006 5.139 4.730
Te 4.012 1.636 4.723
Te 4.012 5.845 1.583
Te 6.018 2.342 1.577
Te 6.018 5.139 4.730
```

~~~~~

VASP calculation (GGA-PBE) on a geometry-optimized K2AgAs structure.

Lattice parameters (Å, degrees): 6.446 6.446 6.134 90.00 90.00 76.41
Fractional positions:
K1 0.029 0.316 0.250
K2 0.316 0.029 0.750
K3 0.684 0.971 0.250
K4 0.971 0.684 0.750
Ag1 0.500 0.500 0.000
Ag2 0.500 0.500 0.500
As1 0.241 0.759 0.250
As2 0.759 0.241 0.750


VASP calculation (GGA-PBE) on a geometry-optimized Tb3Ge3Ir2 structure.

Lattice parameters (Å, degrees): 5.699 5.699 14.332 90.00 90.00 135.46
Fractional positions:
Tb1 0.083 0.917 0.611
Tb2 0.083 0.917 0.889
Tb3 0.360 0.640 0.750
Tb4 0.640 0.360 0.250
Tb5 0.917 0.083 0.111
Tb6 0.917 0.083 0.389
Ge1 0.342 0.658 0.250
Ge2 0.377 0.623 0.535
Ge3 0.377 0.623 0.965
Ge4 0.623 0.377 0.035
Ge5 0.623 0.377 0.465
Ge6 0.658 0.342 0.750
Ir1 0.201 0.799 0.102
Ir2 0.201 0.799 0.398
Ir3 0.799 0.201 0.602
Ir4 0.799 0.201 0.898


VASP calculation (GGA-PBE) on a geometry-optimized Na3MgGaP2SO12 structure.

Lattice parameters (Å, degrees): 8.897 8.809 21.842 91.10 90.00 120.33
Fractional positions:
Na1 0.360 0.358 0.247
Na2 0.997 0.632 0.246
Na3 0.634 0.632 0.746
Na4 0.998 0.358 0.747
Na5 0.026 0.691 0.581
Na6 0.664 0.965 0.579
Na7 0.301 0.965 0.079
Na8 0.665 0.691 0.081
Na9 0.693 0.025 0.914
Na10 0.331 0.298 0.912
Na11 0.968 0.298 0.412
Na12 0.332 0.025 0.414
Na13 0.983 0.986 0.497
Na14 0.004 0.986 0.997
Na15 0.649 0.320 0.831
Na16 0.670 0.320 0.331
Na17 0.316 0.653 0.164
Na18 0.337 0.653 0.664
Mg1 0.994 0.997 0.352
Mg2 0.003 0.997 0.852
Mg3 0.660 0.330 0.685
Mg4 0.670 0.330 0.185
Mg5 0.327 0.664 0.018
Mg6 0.337 0.664 0.518
Ga1 0.992 0.011 0.651
Ga2 0.020 0.011 0.151
Ga3 0.658 0.345 0.984
Ga4 0.686 0.345 0.484
Ga5 0.325 0.678 0.318
Ga6 0.353 0.678 0.818
P1 0.297 0.998 0.252
P2 0.004 0.296 0.253
P3 0.292 0.296 0.753
P4 0.701 0.998 0.752
P5 0.964 0.332 0.585